When I became the head of banking supervision in the UK in the mid 90s, my friends did not see it as a glamorous or exciting career move. Banking regulation was an obscure task, like cleaning sewers: essential, perhaps, but hardly front-page news. Expressions of curiosity about how I spent my working hours were typically a sign of friendly politeness rather than genuine interest.
Twenty years later, the structure of banking regulation in Europe has risen to the top of the political agenda in London. It is one of the key points in Prime Minister David Cameron’s renegotiation of the UK’s terms of membership of the EU.
One of Cameron’s four major demands of the EU is a national derogation from elements of the uniform rulebook which the European Central Bank is seeking to introduce in the eurozone’s banking union to ensure a consistent approach across countries. The French and others fear that this derogation could permit the UK, in search of competitive advantage, to loosen financial regulation in London, even though recent evidence suggests that bank capital requirements, and other controls on banks’ activities, are in fact now tighter in London than elsewhere in Europe. For example, there is no European equivalent of the British requirement to ring-fence retail and commercial banking, and the French and German governments’ opposition suggests that there is unlikely to be one.
Of course, the reason why banking supervision – and financial regulation more generally – has higher political salience now is obvious; the financial crisis of 2008 showed that bank failures could have catastrophic consequences for the economy as a whole.
That crisis followed a period during which the financial sector grew dramatically, especially in Europe. The bank-market ratio – the size of the banking sector relative to the size of equity and bond markets – roughly doubled in the UK and Germany in little more than a decade, while the ratio remained stable in the US, and at a much lower level.
The difference is particularly marked in the eurozone, where two thirds of non-financial firms’ external financing comes from bank loans. The comparable figure is nearer 20 percent in the US, where, as in the UK, equity and debt capital markets play a much more important role in financing business investment.
Shifting ratios
The short-term consequence was that the credit crunch that began in 2008 had a more serious and long-term impact on Europe’s heavily bank-based economies, as banks curtailed lending to preserve and rebuild their capital ratios. That process is still underway in parts of continental Europe, though business lending by banks has recovered in the UK. However, a new study by Sam Langfield of the ECB and Marco Pagano of the University of Naples suggests that the long-term implications are even more damaging than was previously suspected.
Langfield and Pagano pointed out that in the eight years since the crisis, the EU’s GDP has grown by only two percent, compared to more than nine percent in the US, and attributed this differential to transatlantic differences in financial structure. Analysing data for a large number of countries, they found that “an increase in the size of a country’s banking sector relative to stock and private bond market capitalisation is associated with lower GDP growth in the subsequent five-year period”.
And the magnitude of the impact they assessed is considerable. Europe’s bank-market ratio was 3.2 in 1990; by 2011, it had risen to 3.8. An increase on that scale is associated in their model with a 0.3-percentage-point reduction in annual growth, and twice that in a housing-market crisis, given the high proportion of mortgage lending on EU banks’ balance sheets.
Many EU countries, notably Ireland and Spain, did experience a collapse in house prices after 2008. So, the relative size of EU banks might account for roughly half of the growth gap vis-à-vis the US.
That explains why the ECB, and some EU governments, are keen on the Capital Markets Union project, which aims to find ways to stimulate the growth of non-bank financing channels across the continent. Progress would reduce dangerous over-reliance on banks.
In the ocean
The UK, as ever, is to be found somewhere in the middle of the Atlantic. Cumulative economic growth from 2008 to 2015 was six percent. A little closer to the US than to the rest of Europe, though still a relatively weak rebound from a deep recession.
The UK’s stock market is larger relative to its economy than most others in Europe. Its banking system is large and concentrated, though new entrants and new financing channels are changing that. Peer-to-peer lending has expanded faster than elsewhere in Europe. UK banks are also, on average, more oriented toward non-European markets, which makes the banking sector seem larger. And a third of the UK banking sector’s assets are in fact held by non-EU banks. Only Luxembourg comes close, at just below 20 percent, while in France, Germany, and Italy, the overseas share of their domestic markets is negligible.
Data records that have nothing to do with the entry:
{
  "formula": "Li6AcCd12",
  "functional": "PBE-GGA",
  "state": "relaxed",
  "ef_ev_per_atom": -0.14,
  "dos_ef_per_ev_cell": 4.014,
  "energy_ev_per_atom": -1.539,
  "magmom_total_mub_per_atom": 0.000,
  "lattice_angstrom": [[6.168, 3.561, 3.104], [-6.168, 3.561, 3.104], [0.000, -7.122, 3.104]],
  "species": ["Li", "Li", "Li", "Li", "Li", "Li", "Ac", "Cd", "Cd", "Cd", "Cd", "Cd", "Cd", "Cd", "Cd", "Cd", "Cd", "Cd", "Cd"],
  "frac_coords": [[0.262, 0.262, 0.707], [0.262, 0.707, 0.262], [0.293, 0.738, 0.738], [0.707, 0.262, 0.262], [0.738, 0.293, 0.738], [0.738, 0.738, 0.293], [0.000, 0.000, 0.000], [0.118, 0.500, 0.882], [0.118, 0.882, 0.500], [0.161, 0.416, 0.416], [0.416, 0.161, 0.416], [0.416, 0.416, 0.161], [0.500, 0.118, 0.882], [0.500, 0.882, 0.118], [0.584, 0.584, 0.839], [0.584, 0.839, 0.584], [0.839, 0.584, 0.584], [0.882, 0.118, 0.500], [0.882, 0.500, 0.118]]
}
These differences may partly explain the UK’s reluctance to participate in the European banking union, while some other non-eurozone countries are keen to join it, fearing that, otherwise, they might be effectively excluded from ECB policymaking. In London, even pro-Europeans prefer to address Britain’s remaining financial-sector challenges on a national basis; the differences in structure make that an understandable choice.